== Brief ==
Your job: say how many lines of the lines below hold the word "RbScAu2", as a bare number.

== Contents ==
........
A:
Rb2ScAu | PBE | optimized geometry

Unit cell a=6.1271 b=6.1271 c=6.1271 alpha=60.00 beta=60.00 gamma=60.00
Fractional coordinates of all 4 atoms:
1 Sc 0.0000 0.0000 0.0000
2 Au 0.5000 0.5000 0.5000
3 Rb 0.2500 0.2500 0.2500
4 Rb 0.7500 0.7500 0.7500

Calculated values
**Space group**: No. 225
**Density**: 4.2 g/cm³
**Crystal system**: cubic
**Calculated volume**: 162.65 Å³ per cell



B:
Rb2ScAu | PBE | optimized geometry

Unit cell a=12.6559 b=12.6559 c=9.3338 alpha=47.32 beta=47.32 gamma=90.00
Fractional coordinates of all 8 atoms:
1 Sc 0.5000 0.5000 0.0000
2 Sc 0.2500 0.7500 0.5000
3 Au 0.0000 0.0000 0.0000
4 Au 0.7500 0.2500 0.5000
5 Rb 0.7732 0.1250 0.2500
6 Rb 0.9768 0.6250 0.2500
7 Rb 0.3750 0.2268 0.7500
8 Rb 0.8750 0.0232 0.7500

Calculated values
**Space group**: No. 122
**Density**: 3.2 g/cm³
**Crystal system**: tetragonal
**Calculated volume**: 424.82 Å³ per cell



Energetically preferred structure: B | next structure: +350 meV/atom



A:
RbScAu2 | PBE | optimized geometry

Unit cell a=8.1019 b=8.1019 c=6.8957 alpha=54.02 beta=54.02 gamma=90.00
Fractional coordinates of all 8 atoms:
1 Sc 0.5000 0.5000 0.0000
2 Sc 0.2500 0.7500 0.5000
3 Au 0.5556 0.1250 0.2500
4 Au 0.1944 0.6250 0.2500
5 Au 0.3750 0.4444 0.7500
6 Au 0.8750 0.8056 0.7500
7 Rb 0.0000 0.0000 0.0000
8 Rb 0.7500 0.2500 0.5000

Calculated values
**Space group**: No. 122
**Density**: 6.9 g/cm³
**Crystal system**: tetragonal
**Calculated volume**: 251.93 Å³ per cell



B:
RbScAu2 | PBE | optimized geometry

Unit cell a=3.5368 b=3.5368 c=8.3467 alpha=90.00 beta=90.00 gamma=90.00
Fractional coordinates of all 4 atoms:
1 Sc 0.5000 0.5000 0.0000
2 Au 0.0000 0.0000 0.8243
3 Au 0.0000 0.0000 0.1757
4 Rb 0.5000 0.5000 0.5000

Calculated values
**Space group**: No. 123
**Density**: 8.3 g/cm³
**Crystal system**: tetragonal
**Calculated volume**: 104.41 Å³ per cell



C:
RbScAu2 | PBE | optimized geometry

Unit cell a=5.2050 b=5.2050 c=5.2050 alpha=60.00 beta=60.00 gamma=60.00
Fractional coordinates of all 4 atoms:
1 Sc 0.0000 0.0000 0.0000
2 Au 0.2500 0.2500 0.2500
3 Au 0.7500 0.7500 0.7500
4 Rb 0.5000 0.5000 0.5000

Calculated values
**Space group**: No. 225
**Density**: 8.7 g/cm³
**Crystal system**: cubic
**Calculated volume**: 99.71 Å³ per cell



Energetically preferred structure: B | next structure: +401 meV/atom



A:
RbScAu3 | PBE | optimized geometry

Unit cell a=5.6425 b=5.6425 c=5.6425 alpha=90.00 beta=90.00 gamma=90.00
Fractional coordinates of all 5 atoms:
1 Sc 0.5000 0.5000 0.5000
2 Au 0.0000 0.5000 0.0000
3 Au 0.0000 0.0000 0.5000
4 Au 0.5000 0.0000 0.0000
5 Rb 0.0000 0.0000 0.0000

Calculated values
**Space group**: No. 221
**Density**: 6.7 g/cm³
**Crystal system**: cubic
**Calculated volume**: 179.64 Å³ per cell



B:
RbScAu3 | PBE | optimized geometry

Unit cell a=5.3680 b=5.3680 c=5.3680 alpha=90.00 beta=90.00 gamma=90.00
Fractional coordinates of all 5 atoms:
1 Sc 0.0000 0.0000 0.0000
2 Au 0.0000 0.5000 0.0000
3 Au 0.0000 0.0000 0.5000
4 Au 0.5000 0.0000 0.0000
5 Rb 0.5000 0.5000 0.5000

Calculated values
**Space group**: No. 221
**Density**: 7.7 g/cm³
**Crystal system**: cubic
**Calculated volume**: 154.68 Å³ per cell



Energetically preferred structure: B | next structure: +1234 meV/atom



A:
Rb3AuSe | PBE | optimized geometry

Unit cell a=6.5310 b=6.5310 c=6.5310 alpha=90.00 beta=90.00 gamma=90.00
Fractional coordinates of all 5 atoms:
1 Au 0.5000 0.5000 0.5000
2 Se 0.0000 0.0000 0.0000
3 Rb 0.0000 0.5000 0.0000
4 Rb 0.0000 0.0000 0.5000
5 Rb 0.5000 0.0000 0.0000

Calculated values
**Space group**: No. 221
**Density**: 3.2 g/cm³
**Crystal system**: cubic
**Calculated volume**: 278.57 Å³ per cell



B:
Rb3AuSe | PBE | optimized geometry

Unit cell a=4.9270 b=9.2275 c=9.7729 alpha=95.28 beta=90.06 gamma=105.65
Fractional coordinates of all 10 atoms:
1 Rb 0.0808 0.1984 0.3541
2 Rb 0.4185 0.8686 0.6314
3 Rb 0.6254 0.2856 0.7902
4 Rb 0.9633 0.9556 0.0674
5 Rb 0.2579 0.5491 0.0419
6 Rb 0.7861 0.6050 0.3796
7 Au 0.2272 0.4879 0.6587
........

== Here it is ==
3